4 tips to remember when running Influencer marketing campaigns in Japan

Social Media Marketing or “SNS Marketing” as it’s known in Japan constantly changing, just like other parts of the world. Updating relevant and useful information on your brand’s Social Media channels is useful, but it’s a good idea to couple it with influencer marketing. This is because many of your audience prefer to hear from […]

Why UGC? Ideas to run successful Japanese Influencer Marketing campaigns

Today we’re going to be talking about the power of User Generated Content (UGC) for the Japanese Market. At JapanBuzz we love collaborating with influencers, generating engaging content and often dedicate a portion of an influencer campaign towards asking influencers to create posts geared towards organic UGC posts. The idea here is to get their […]

Top 5 Social Media Campaigns by Alcohol Brands in Japan

Alcohol brand marketing in Japan has traditionally utilised ads with eye catching prints and TV ads. However, recently there’s a trend that the younger Japanese generation no longer owns TVs. Instead, they watch online TV programmes on their portable devices such as smartphones, tablets, and PCs. Therefore, brands are required to be more active on […]

Delistagrammer! 3 Great Examples of Influencer Campaigns by Food Brands in Japan

With the right content, food campaigns can influence people’s purchase decisions. Furthermore, collaborating with influencers on social media in Japan can certainly get the message across with relatable and a visually attractive representation of the brand. In this article, let’s take a look at 3 food brands in Japan that have successfully used influencer campaigns […]

Japanese Influencer Marketing Trends for 2018

In Japan many companies are already using social media such as Facebook, Twitter, LINE and Instagram for marketing purposes. In 2018 using influencer marketing is a strategy more and more Japanese companies are implementing alongside their social media strategy. Consumers are exposed to over 10,000 messages from brands every day according to IE School of […]

**Unrelated to this text: quantum chemistry results**
C56H84O28 | ωB97M-V/def2-TZVPD

Results
ΔE to the lowest compared entry with this formula, charge and spin ... 28.4 kcal per mole
E_tot ... -4291.09421 hartree
Charge ... 0

The geometry in XYZ format:
```
168
Properties=species:S:1:pos:R:3:mulliken_charge:R:1
O 2.797 2.574 2.413 -0.628
C 2.194 1.902 3.178 0.170
O 1.021 1.265 2.775 0.430
C 0.532 0.473 3.881 1.193
C 1.268 0.858 5.131 -0.795
C 2.502 1.603 4.623 -0.847
H 0.699 -0.560 3.692 -1.387
H -0.571 0.635 3.896 0.241
H 1.451 0.053 5.794 0.545
H 0.604 1.483 5.692 0.306
H 3.340 1.008 4.560 0.296
H 2.799 2.514 5.193 0.376
O -3.067 -3.648 0.786 -0.444
C -3.460 -2.799 1.512 0.074
O -2.809 -2.284 2.550 0.174
C -3.418 -1.048 3.017 0.167
C -4.841 -1.250 2.696 -0.681
C -4.704 -1.921 1.349 -0.631
H -2.967 -0.175 2.549 -0.349
H -3.200 -1.032 4.108 0.478
H -5.473 -0.383 2.696 0.402
H -5.355 -1.932 3.439 0.313
H -4.508 -1.320 0.486 0.031
H -5.558 -2.491 1.128 0.626
O 1.602 -1.275 -3.878 -0.457
C 1.908 -2.312 -3.408 -0.050
O 2.134 -2.423 -2.079 0.178
C 2.688 -3.728 -1.787 0.209
C 2.149 -4.609 -2.907 -0.286
C 2.031 -3.629 -4.071 -0.681
H 2.328 -4.169 -0.878 -0.213
H 3.771 -3.694 -1.897 0.286
H 1.260 -5.121 -2.701 -0.314
H 2.869 -5.381 -3.181 0.544
H 1.144 -3.679 -4.652 0.352
H 2.838 -3.748 -4.768 0.398
O 3.713 -2.488 5.217 -0.584
C 3.620 -2.706 4.068 0.376
O 2.859 -1.850 3.257 -0.064
C 2.828 -2.174 1.875 0.577
C 3.329 -3.656 1.818 0.072
C 4.195 -3.817 3.143 -0.873
H 3.480 -1.483 1.405 0.298
H 1.778 -2.025 1.549 -0.445
H 4.003 -3.703 0.957 0.334
H 2.479 -4.282 1.840 -0.261
H 5.229 -3.563 2.960 0.342
H 4.171 -4.745 3.636 0.398
O -2.227 0.745 -5.063 -0.651
C -1.961 1.849 -4.632 0.496
O -0.769 2.271 -4.200 -0.317
C -0.803 3.668 -3.763 1.440
C -1.952 4.316 -4.580 -0.659
C -2.871 3.067 -4.734 -0.570
H 0.151 4.023 -4.045 0.529
H -1.010 3.693 -2.683 -1.632
H -1.501 4.672 -5.514 0.296
H -2.430 5.152 -4.072 0.313
H -3.421 2.934 -5.624 0.479
H -3.595 2.963 -3.903 0.149
O 2.425 3.547 -4.511 -0.653
C 2.689 2.546 -5.115 0.524
O 3.525 1.563 -4.710 -0.108
C 3.611 0.476 -5.713 -0.488
C 2.243 0.579 -6.335 0.059
C 2.057 2.057 -6.451 -0.466
H 3.693 -0.493 -5.141 0.089
H 4.458 0.670 -6.371 0.367
H 1.541 0.109 -5.592 -0.206
H 2.211 -0.003 -7.267 0.420
H 1.052 2.442 -6.477 0.193
H 2.767 2.446 -7.241 0.324
O 0.477 -5.172 1.571 -0.213
C -0.009 -5.998 0.859 -0.047
O 0.737 -6.591 -0.112 -0.510
C -0.090 -7.537 -0.902 -0.242
C -1.421 -7.665 -0.096 -0.659
C -1.441 -6.476 0.803 0.713
H 0.506 -8.481 -0.902 0.365
H -0.215 -7.135 -1.960 0.104
H -1.374 -8.578 0.519 0.271
H -2.251 -7.768 -0.770 0.297
H -1.683 -6.545 1.885 0.377
H -1.941 -5.553 0.446 -0.460
O -2.608 7.017 1.304 -0.640
C -3.187 6.109 0.791 0.582
O -3.395 4.917 1.485 -0.114
C -4.263 4.020 0.802 -0.225
C -4.097 4.421 -0.680 0.488
C -3.895 5.971 -0.545 -0.838
H -5.265 4.009 1.168 0.307
H -3.861 3.049 0.950 -0.123
H -4.946 4.240 -1.336 0.577
H -3.144 4.009 -1.039 -0.649
H -4.869 6.367 -0.394 0.518
H -3.453 6.492 -1.427 0.226
O -1.443 -5.387 -2.927 -0.673

Best 3 Father’s Day Japanese Social Media Campaigns in 2018

What did you give your father on Father’s Day this year? Seemingly, there are a lot more things out there involving Mother’s Day than there are for Father’s Day. So today, we would like to focus on Japanese social media campaigns that were successful for Father’s Day! 1. #父の日何贈ろうか問題 – Asahi Beer https://twitter.com/asahibeer_jp/status/1005464543622041601 As people wonder […]

How Do You Measure the ROI of Japanese Influencer Campaigns?

As you work on influencer campaigns for the Japanese market, you might have faced this question — how to actually measure the successes of a campaign and the Return on Investment (ROI)? We imagine that measuring the campaign’s ROI is challenging for many marketers that deal with influencer marketing. According to a survey conducted by […]

Top 5 memorable social media campaigns in Japan 2018

_Unrelated to this page: molecular data_
┌──
Entry 1:
The following is a quantum chemistry calculation of a structure of composition C37H54N3OP2Tc in a non-equilibrium geometry, from OMol25.

Values from the calculation:
Net charge: +3
Relative energy (zero: lowest compared OMol25 entry of this formula, charge and spin): 49.4 kcal per mole
Maximum force: 4.1 eV/A
Frontier orbital gap (alpha / beta): 6.20 / 2.18 eV
LUMO energy (alpha / beta): -9.592 / -13.721 eV
M: 716.81 g/mol
Expectation value of S²: 3.820
DFT total energy: -2444.32802 a.u.
2S+1: 4

Geometry (Å):
C  -1.28663  -1.56271  -2.14338
C  0.73487  -2.62791  -1.38128
C  -1.49773  -2.52661  -3.12438
C  0.48537  -3.67891  -2.33728
C  -0.59193  -3.62041  -3.19268
H  -2.35803  -2.45081  -3.79428
H  1.19907  -4.50661  -2.38698
H  -0.75083  -4.41541  -3.93008
N  -0.23413  -1.61481  -1.27158
P  -2.41383  -0.09541  -0.12408
P  2.29497  -1.02661  0.17842
C  -2.26683  -0.42031  -1.95768
H  -1.86463  0.50679  -2.40098
H  -3.22603  -0.63901  -2.45298
C  1.90037  -2.57151  -0.60778
H  2.66187  -3.34121  -0.77478
C  3.44747  -0.07251  -1.06008
C  3.32617  -1.42151  1.74012
C  -3.36313  1.55139  0.09022
C  -3.49913  -1.58211  0.44592
C  3.47717  1.42639  -0.69298
H  4.11857  1.61429  0.18232
H  3.88707  2.01089  -1.53938
H  2.47367  1.81099  -0.45698
C  4.89087  -0.60081  -1.15798
H  5.47807  -0.41251  -0.24478
H  4.91237  -1.68161  -1.37988
H  5.40317  -0.08121  -1.99118
C  2.80327  -0.29571  -2.44948
H  3.20857  0.44559  -3.16458
H  3.03397  -1.30611  -2.82348
H  1.70847  -0.20341  -2.43158
C  4.00277  -0.14241  2.26842
H  3.26857  0.67269  2.39372
H  4.44977  -0.35131  3.25852
H  4.81147  0.21139  1.60912
C  2.37287  -1.94521  2.82682
H  1.71597  -1.14741  3.20272
H  1.75057  -2.77461  2.45282
H  2.97367  -2.31951  3.67712
C  4.36217  -2.53251  1.46642
H  5.09987  -2.26301  0.69852
H  4.91257  -2.74091  2.40342
H  3.86037  -3.46561  1.15982
C  -3.94863  -1.35961  1.90462
H  -4.42233  -2.28761  2.27472
H  -3.10183  -1.12881  2.56942
H  -4.69653  -0.55351  1.98352
C  -2.66723  -2.88551  0.35532
H  -2.47533  -3.17101  -0.69008
H  -1.70423  -2.82521  0.87652
H  -3.25963  -3.69281  0.82482
C  -4.73823  -1.79891  -0.45028
H  -5.28413  -2.68211  -0.06958
H  -5.43743  -0.95151  -0.44718
H  -4.45333  -2.02181  -1.49198
C  -2.58973  2.62459  -0.70458
H  -2.58293  2.42879  -1.79048
H  -3.08403  3.60049  -0.54458
H  -1.55133  2.70349  -0.34808
C  -3.29673  1.95179  1.58092
H  -2.25493  1.96039  1.93962
H  -3.71003  2.97139  1.69422
H  -3.88093  1.27879  2.22532
C  -4.82323  1.52529  -0.39498
H  -4.91033  1.17059  -1.43668
H  -5.46083  0.89629  0.24622
H  -5.23063  2.55299  -0.35608
Tc  -0.00423  -0.13151  0.36152
C  -0.39973  -1.23481  1.90372
O  -0.72163  -1.80581  2.87752
N  0.25507  1.19979  -1.21158
C  0.37127  1.93089  -2.12548
C  0.53507  2.76759  -3.25788
C  0.30787  4.16369  -3.16538
C  0.93157  2.19539  -4.49438
C  0.47737  4.96659  -4.29578
H  0.00467  4.59749  -2.20848
C  1.09417  3.01549  -5.61318
H  1.11057  1.11799  -4.55478
└──

Today we would like to share the 5 most memorable social media campaigns in Japan so far. 1. Dove Japan – Real Beauty [embedyt] https://www.youtube.com/watch?v=Q72ff7_HLG4[/embedyt] Dove ran a campaign encouraging teenage girls to enhance their own self-esteem by noticing their inner beauty. They found that only 7% of Japanese teenage girls feel confident about their […]

5 female Japanese fashion Influencer tribes

We all know that Japanese fashion is quite unique, when many people think of Japanese fashion, they might come up ‘kyary pamu pamu’ Harajuku style. However not every Japanese girl wears clothes like her. In this article we’re going to categorise 5 styles of Japanese influencer fashion tribes. きれいめ / Kireime Style – @reinahoshi Japanese […]

Japanese Influencer Marketing 2018 – 5 reasons why Micro Influencers will shine

We all know influencer marketing will be a major spend for businesses in 2018. More and more companies are engaging external influencer marketing agencies for strategy and execution work, because it just performs in a much more cost effective way than TV commercials. User generated content appears to have more genuine influence on the public’s […]